Data >
'''
Compound: LiFe2B2O6
Source: the Materials Project
Functional: PBE+U
Structure: relaxed

Output
ΔE_f (kJ per mole of atoms): -219.1
Symmetry: P1 (1)
ΔE to the lowest computed polymorph (eV/f.u.): 0.09
Magnetic moment (μB per formula unit): 9.000

Unit cell a=5.3132 b=9.0750 c=11.3431 alpha=66.47 beta=77.62 gamma=89.83
Element x y z (fractional)
1 Li 0.0000 0.0000 0.0000
2 Li 0.0706 0.3823 0.2588
3 Li 0.2598 0.2411 0.5144
4 Li 0.7547 0.7439 0.5141
5 Fe 0.0505 0.7016 0.2885
6 Fe 0.2526 0.8847 0.5409
7 Fe 0.3054 0.2773 0.7852
8 Fe 0.4920 0.8060 0.0406
9 Fe 0.5551 0.1839 0.2834
10 Fe 0.7496 0.3880 0.5388
11 Fe 0.7999 0.7762 0.7840
12 Fe 0.9949 0.3276 0.0335
13 B 0.0403 0.0308 0.2953
14 B 0.2493 0.5586 0.5401
15 B 0.2875 0.9354 0.7930
16 B 0.4934 0.1368 0.0408
17 B 0.5529 0.5150 0.2843
18 B 0.7544 0.0628 0.5364
19 B 0.7996 0.4392 0.7849
20 B 0.9989 0.6582 0.0405
21 O 0.0154 0.5780 0.5010
22 O 0.0217 0.3918 0.8318
23 O 0.0908 0.5127 0.0687
24 O 0.1099 0.7788 0.0682
25 O 0.1668 0.8417 0.7468
26 O 0.1868 0.0725 0.7975
27 O 0.2650 0.1708 0.9960
28 O 0.2726 0.0245 0.3339
29 O 0.3391 0.4013 0.5823
30 O 0.3939 0.6848 0.5361
31 O 0.4141 0.3737 0.3027
32 O 0.4410 0.6589 0.2319
33 O 0.5105 0.8866 0.8389
34 O 0.5216 0.0830 0.4946
35 O 0.5986 0.2359 0.0891
36 O 0.6195 0.0050 0.0369
37 O 0.6692 0.3348 0.7506
38 O 0.7137 0.5843 0.7721
39 O 0.7840 0.6982 0.9845
40 O 0.7852 0.5080 0.3222
41 O 0.8366 0.9064 0.5826
42 O 0.8999 0.1909 0.5299
43 O 0.9132 0.8953 0.3050
44 O 0.9336 0.1805 0.2540


P | ## Ca2SbWO6 (PBE with a Hubbard U)

Data for a geometry-optimized Ca2SbWO6 structure.

Lattice parameters (Å, degrees): 5.931 5.931 5.931 60.00 60.00 60.00
Atoms (fractional coordinates):
O1 0.736 0.736 0.264
O2 0.264 0.736 0.736
O3 0.736 0.264 0.736
O4 0.264 0.264 0.736
O5 0.736 0.264 0.264
O6 0.264 0.736 0.264
W1 0.500 0.500 0.500
Sb1 0.000 0.000 0.000
Ca1 0.750 0.750 0.750
Ca2 0.250 0.250 0.250

Calculated values
space-group type	Fm-3m, No. 225

Q | ## Ca2SbWO6 (PBE with a Hubbard U)

Data for a geometry-optimized Ca2SbWO6 structure.

Lattice parameters (Å, degrees): 5.658 5.946 6.098 72.95 66.06 64.62
Atoms (fractional coordinates):
O1 0.292 0.660 0.225
O2 0.862 0.214 0.291
O3 0.082 0.704 0.841
O4 0.706 0.171 0.913
O5 0.735 0.775 0.331
O6 0.291 0.069 0.852
Sb1 0.530 0.536 0.434
W1 0.997 0.957 0.041
Ca1 0.250 0.351 0.078
Ca2 0.758 0.915 0.655

Calculated values
space-group type	P1, No. 1

It is Q that is the most stable of them.

P | ## Li3MnP2O8 (PBE with a Hubbard U)

Data for a geometry-optimized Li3MnP2O8 structure.

Lattice parameters (Å, degrees): 4.790 11.789 10.231 91.61 88.09 90.64
Atoms (fractional coordinates):
O1 0.784 0.777 0.657
O2 0.737 0.990 0.163
O3 0.750 0.782 0.176
O4 0.199 0.125 0.555
O5 0.263 0.010 0.837
O6 0.717 0.624 0.883
O7 0.801 0.875 0.445
O8 0.755 0.122 0.415
O9 0.283 0.376 0.117
O10 0.801 0.375 0.445
O11 0.212 0.515 0.344
O12 0.245 0.378 0.585
O13 0.737 0.490 0.163
O14 0.215 0.223 0.343
O15 0.788 0.485 0.656
O16 0.687 0.869 0.953
O17 0.717 0.124 0.883
O18 0.755 0.622 0.415
O19 0.263 0.510 0.837
O20 0.750 0.282 0.176
O21 0.199 0.625 0.555
O22 0.212 0.015 0.344
O23 0.313 0.131 0.047
O24 0.788 0.985 0.656
O25 0.785 0.276 0.657
O26 0.687 0.369 0.953
O27 0.245 0.878 0.585
O28 0.313 0.631 0.047
O29 0.283 0.876 0.117
O30 0.215 0.723 0.343
O31 0.250 0.218 0.824
O32 0.250 0.718 0.824
Li1 0.100 0.871 0.936
Li2 0.100 0.371 0.936
Li3 0.512 0.874 0.773
Li4 0.500 0.500 0.500
Li5 0.488 0.126 0.227
Li6 0.900 0.129 0.064
Li7 0.900 0.629 0.064
Li8 0.500 0.000 0.500
Li9 0.500 0.250 0.500
Li10 0.500 0.750 0.500
Li11 0.488 0.626 0.227
Li12 0.512 0.374 0.773
P1 0.392 0.619 0.902
P2 0.607 0.381 0.098
P3 0.929 0.877 0.586
P4 0.607 0.881 0.098
P5 0.071 0.123 0.414
P6 0.393 0.119 0.902
P7 0.929 0.377 0.586
P8 0.071 0.623 0.414
Mn1 0.025 0.379 0.276
Mn2 0.975 0.621 0.724
Mn3 0.975 0.120 0.724
Mn4 0.025 0.880 0.276

Q | ## Li3MnP2O8 (PBE with a Hubbard U)

Data for a geometry-optimized Li3MnP2O8 structure.
'''

Wanted >
Could you search the data further up for the word "O13" and duplicate each line that has it?

Here it is >
O13 0.737 0.490 0.163